== Assignment ==
Your job: duplicate the whole of the listing further below without additions.

== Listing ==
/*
<A>
Li9Mn7O16 | PBE+U | relaxed

Properties
The crystal system is triclinic.

a = 5.758 Å, b = 9.908 Å, c = 6.072 Å
α = 86.07°, β = 61.70°, γ = 98.35°
Sites, in units of the cell vectors:
Li: 0.743 0.240 0.134
Li: 0.745 0.750 0.372
Li: 0.743 0.250 0.628
Li: 0.255 0.250 0.628
Li: 0.257 0.760 0.866
Li: 0.251 0.243 0.120
Li: 0.749 0.757 0.880
Li: 0.257 0.750 0.372
Li: 0.500 0.000 0.500
Mn: 0.000 0.000 0.000
Mn: 0.000 0.000 0.500
Mn: 0.000 0.498 0.250
Mn: 0.000 0.502 0.750
Mn: 0.501 0.503 0.751
Mn: 0.500 0.000 0.000
Mn: 0.499 0.497 0.249
O: 0.860 0.118 0.840
O: 0.859 0.616 0.089
O: 0.894 0.103 0.286
O: 0.371 0.103 0.286
O: 0.362 0.622 0.586
O: 0.363 0.114 0.831
O: 0.863 0.621 0.585
O: 0.360 0.616 0.089
O: 0.638 0.378 0.414
O: 0.629 0.897 0.714
O: 0.640 0.384 0.911
O: 0.141 0.384 0.911
O: 0.140 0.882 0.160
O: 0.137 0.379 0.415
O: 0.637 0.886 0.169
O: 0.106 0.897 0.714



<B>
Li9Mn7O16 | PBE+U | relaxed

Properties
The crystal system is triclinic.

a = 5.094 Å, b = 6.060 Å, c = 10.430 Å
α = 76.19°, β = 75.90°, γ = 76.13°
Sites, in units of the cell vectors:
Li: 0.498 0.813 0.122
Li: 0.512 0.315 0.121
Li: 0.506 0.435 0.374
Li: 0.499 0.938 0.375
Li: 0.501 0.062 0.625
Li: 0.494 0.565 0.626
Li: 0.488 0.685 0.879
Li: 0.502 0.187 0.878
Li: 0.000 0.500 0.000
Mn: 0.000 0.000 0.000
Mn: 0.997 0.627 0.246
Mn: 0.995 0.137 0.246
Mn: 0.002 0.249 0.500
Mn: 0.998 0.751 0.500
Mn: 0.005 0.863 0.754
Mn: 0.003 0.373 0.754
O: 0.226 0.144 0.069
O: 0.216 0.690 0.064
O: 0.220 0.785 0.316
O: 0.235 0.269 0.317
O: 0.233 0.392 0.568
O: 0.230 0.893 0.570
O: 0.235 0.013 0.822
O: 0.229 0.536 0.806
O: 0.771 0.464 0.194
O: 0.765 0.987 0.178
O: 0.770 0.107 0.430
O: 0.767 0.608 0.432
O: 0.765 0.731 0.683
O: 0.780 0.215 0.684
O: 0.784 0.310 0.936
O: 0.774 0.856 0.931



<C>
Li9Mn7O16 | PBE+U | relaxed

Properties
The crystal system is triclinic.

a = 3.018 Å, b = 5.104 Å, c = 19.976 Å
α = 91.83°, β = 91.47°, γ = 102.77°
Sites, in units of the cell vectors:
Li: 0.958 0.202 0.688
Li: 0.561 0.311 0.812
Li: 0.188 0.438 0.937
Li: 0.812 0.562 0.063
Li: 0.439 0.689 0.188
Li: 0.042 0.798 0.312
Li: 0.727 0.949 0.446
Li: 0.273 0.051 0.554
Li: 0.000 0.500 0.500
Mn: 0.618 0.625 0.620
Mn: 0.382 0.375 0.380
Mn: 0.234 0.743 0.749
Mn: 0.872 0.874 0.874
Mn: 0.500 0.000 0.000
Mn: 0.128 0.126 0.126
Mn: 0.766 0.257 0.251
O: 0.228 0.867 0.656
O: 0.924 0.015 0.783
O: 0.558 0.143 0.909
O: 0.183 0.268 0.035
O: 0.809 0.394 0.160
O: 0.436 0.518 0.285
O: 0.976 0.611 0.402
O: 0.666 0.784 0.539
O: 0.564 0.482 0.715
O: 0.191 0.606 0.840
O: 0.817 0.732 0.965
O: 0.442 0.857 0.091
O: 0.076 0.985 0.217
O: 0.772 0.133 0.344
O: 0.334 0.216 0.461
O: 0.024 0.389 0.598



Q: What are the energies relative to the best structure? A: <A> 0; <B> 8; <C> 14, in meV/atom.



<A>
Li9Mn7O16 | PBE+U | relaxed

Properties
The crystal system is triclinic.

a = 5.097 Å, b = 6.481 Å, c = 9.388 Å
α = 97.79°, β = 99.53°, γ = 96.66°
Sites, in units of the cell vectors:
Li: 0.745 0.935 0.060
Li: 0.735 0.438 0.582
Li: 0.266 0.805 0.175
Li: 0.253 0.310 0.690
Li: 0.747 0.690 0.310
Li: 0.734 0.195 0.825
Li: 0.255 0.065 0.940
Li: 0.265 0.562 0.418
Li: 0.500 0.500 0.000
Mn: 0.998 0.626 0.886
Mn: 0.002 0.374 0.114
Mn: 0.008 0.126 0.371
Mn: 0.500 0.000 0.500
Mn: 0.992 0.874 0.629
Mn: 0.509 0.253 0.235
Mn: 0.491 0.747 0.765
O: 0.856 0.884 0.847
O: 0.888 0.393 0.314
O: 0.344 0.772 0.967
O: 0.364 0.266 0.471
O: 0.896 0.641 0.076
O: 0.862 0.140 0.592
O: 0.354 0.011 0.721
O: 0.368 0.512 0.216
O: 0.646 0.989 0.279
O: 0.632 0.488 0.784
O: 0.138 0.860 0.408
O: 0.104 0.359 0.924
O: 0.636 0.734 0.529
O: 0.656 0.228 0.033
O: 0.144 0.116 0.153
O: 0.112 0.607 0.686



<B>
Li9Mn7O16 | PBE+U | relaxed

Properties
The crystal system is monoclinic.

a = 6.512 Å, b = 6.512 Å, c = 8.837 Å
α = 89.47°, β = 89.47°, γ = 52.44°
Sites, in units of the cell vectors:
Li: 0.622 0.130 0.242
Li: 0.378 0.870 0.758
Li: 0.130 0.622 0.242
Li: 0.500 0.500 0.500
Li: 0.253 0.253 0.001
Li: 0.000 0.000 0.500
Li: 0.870 0.378 0.758
Li: 0.747 0.747 0.999
*/

== Reply ==
<A>
Li9Mn7O16 | PBE+U | relaxed

Properties
The crystal system is triclinic.

a = 5.758 Å, b = 9.908 Å, c = 6.072 Å
α = 86.07°, β = 61.70°, γ = 98.35°
Sites, in units of the cell vectors:
Li: 0.743 0.240 0.134
Li: 0.745 0.750 0.372
Li: 0.743 0.250 0.628
Li: 0.255 0.250 0.628
Li: 0.257 0.760 0.866
Li: 0.251 0.243 0.120
Li: 0.749 0.757 0.880
Li: 0.257 0.750 0.372
Li: 0.500 0.000 0.500
Mn: 0.000 0.000 0.000
Mn: 0.000 0.000 0.500
Mn: 0.000 0.498 0.250
Mn: 0.000 0.502 0.750
Mn: 0.501 0.503 0.751
Mn: 0.500 0.000 0.000
Mn: 0.499 0.497 0.249
O: 0.860 0.118 0.840
O: 0.859 0.616 0.089
O: 0.894 0.103 0.286
O: 0.371 0.103 0.286
O: 0.362 0.622 0.586
O: 0.363 0.114 0.831
O: 0.863 0.621 0.585
O: 0.360 0.616 0.089
O: 0.638 0.378 0.414
O: 0.629 0.897 0.714
O: 0.640 0.384 0.911
O: 0.141 0.384 0.911
O: 0.140 0.882 0.160
O: 0.137 0.379 0.415
O: 0.637 0.886 0.169
O: 0.106 0.897 0.714



<B>
Li9Mn7O16 | PBE+U | relaxed

Properties
The crystal system is triclinic.

a = 5.094 Å, b = 6.060 Å, c = 10.430 Å
α = 76.19°, β = 75.90°, γ = 76.13°
Sites, in units of the cell vectors:
Li: 0.498 0.813 0.122
Li: 0.512 0.315 0.121
Li: 0.506 0.435 0.374
Li: 0.499 0.938 0.375
Li: 0.501 0.062 0.625
Li: 0.494 0.565 0.626
Li: 0.488 0.685 0.879
Li: 0.502 0.187 0.878
Li: 0.000 0.500 0.000
Mn: 0.000 0.000 0.000
Mn: 0.997 0.627 0.246
Mn: 0.995 0.137 0.246
Mn: 0.002 0.249 0.500
Mn: 0.998 0.751 0.500
Mn: 0.005 0.863 0.754
Mn: 0.003 0.373 0.754
O: 0.226 0.144 0.069
O: 0.216 0.690 0.064
O: 0.220 0.785 0.316
O: 0.235 0.269 0.317
O: 0.233 0.392 0.568
O: 0.230 0.893 0.570
O: 0.235 0.013 0.822
O: 0.229 0.536 0.806
O: 0.771 0.464 0.194
O: 0.765 0.987 0.178
O: 0.770 0.107 0.430
O: 0.767 0.608 0.432
O: 0.765 0.731 0.683
O: 0.780 0.215 0.684
O: 0.784 0.310 0.936
O: 0.774 0.856 0.931



<C>
Li9Mn7O16 | PBE+U | relaxed

Properties
The crystal system is triclinic.

a = 3.018 Å, b = 5.104 Å, c = 19.976 Å
α = 91.83°, β = 91.47°, γ = 102.77°
Sites, in units of the cell vectors:
Li: 0.958 0.202 0.688
Li: 0.561 0.311 0.812
Li: 0.188 0.438 0.937
Li: 0.812 0.562 0.063
Li: 0.439 0.689 0.188
Li: 0.042 0.798 0.312
Li: 0.727 0.949 0.446
Li: 0.273 0.051 0.554
Li: 0.000 0.500 0.500
Mn: 0.618 0.625 0.620
Mn: 0.382 0.375 0.380
Mn: 0.234 0.743 0.749
Mn: 0.872 0.874 0.874
Mn: 0.500 0.000 0.000
Mn: 0.128 0.126 0.126
Mn: 0.766 0.257 0.251
O: 0.228 0.867 0.656
O: 0.924 0.015 0.783
O: 0.558 0.143 0.909
O: 0.183 0.268 0.035
O: 0.809 0.394 0.160
O: 0.436 0.518 0.285
O: 0.976 0.611 0.402
O: 0.666 0.784 0.539
O: 0.564 0.482 0.715
O: 0.191 0.606 0.840
O: 0.817 0.732 0.965
O: 0.442 0.857 0.091
O: 0.076 0.985 0.217
O: 0.772 0.133 0.344
O: 0.334 0.216 0.461
O: 0.024 0.389 0.598



Q: What are the energies relative to the best structure? A: <A> 0; <B> 8; <C> 14, in meV/atom.



<A>
Li9Mn7O16 | PBE+U | relaxed

Properties
The crystal system is triclinic.

a = 5.097 Å, b = 6.481 Å, c = 9.388 Å
α = 97.79°, β = 99.53°, γ = 96.66°
Sites, in units of the cell vectors:
Li: 0.745 0.935 0.060
Li: 0.735 0.438 0.582
Li: 0.266 0.805 0.175
Li: 0.253 0.310 0.690
Li: 0.747 0.690 0.310
Li: 0.734 0.195 0.825
Li: 0.255 0.065 0.940
Li: 0.265 0.562 0.418
Li: 0.500 0.500 0.000
Mn: 0.998 0.626 0.886
Mn: 0.002 0.374 0.114
Mn: 0.008 0.126 0.371
Mn: 0.500 0.000 0.500
Mn: 0.992 0.874 0.629
Mn: 0.509 0.253 0.235
Mn: 0.491 0.747 0.765
O: 0.856 0.884 0.847
O: 0.888 0.393 0.314
O: 0.344 0.772 0.967
O: 0.364 0.266 0.471
O: 0.896 0.641 0.076
O: 0.862 0.140 0.592
O: 0.354 0.011 0.721
O: 0.368 0.512 0.216
O: 0.646 0.989 0.279
O: 0.632 0.488 0.784
O: 0.138 0.860 0.408
O: 0.104 0.359 0.924
O: 0.636 0.734 0.529
O: 0.656 0.228 0.033
O: 0.144 0.116 0.153
O: 0.112 0.607 0.686



<B>
Li9Mn7O16 | PBE+U | relaxed

Properties
The crystal system is monoclinic.

a = 6.512 Å, b = 6.512 Å, c = 8.837 Å
α = 89.47°, β = 89.47°, γ = 52.44°
Sites, in units of the cell vectors:
Li: 0.622 0.130 0.242
Li: 0.378 0.870 0.758
Li: 0.130 0.622 0.242
Li: 0.500 0.500 0.500
Li: 0.253 0.253 0.001
Li: 0.000 0.000 0.500
Li: 0.870 0.378 0.758
Li: 0.747 0.747 0.999